marzekiel Member

VASP calculation (PBE-GGA) on a geometry-optimized Zn8B3H3O14 structure.

Spin magnetization, Bohr magnetons per cell: 0.00
Energy of formation, eV per atom: -1.9862

The structure in POSCAR format:
```
Zn8B3H3O14
1.0
4.1194 2.3783 5.9585
-4.1194 2.3783 5.9585
0.0000 -4.7567 5.9585
Zn B H O
8 3 3 14
Cartesian
-1.8060 -0.1623 4.4315
0.0000 0.0000 1.6405
1.0436 -1.4829 4.4315
0.7625 1.6452 4.4315
-1.8060 0.1623 13.4441
0.7625 -1.6452 13.4441
0.0000 0.0000 16.2351
1.0436 1.4829 13.4441
-1.2280 -2.6297 5.9585
-1.6633 2.3783 5.9585
2.8914 0.2513 5.9585
-1.1511 0.0000 8.9378
0.5756 -0.9969 8.9378
0.5756 0.9969 8.9378
-1.9266 -1.4197 5.9585
-0.2849 -2.8760 4.9761
-2.3482 1.6847 4.9761
0.0000 0.0000 3.6377
-2.1164 0.0000 8.9378
-2.3482 -1.6847 12.8995
-0.2662 2.3783 5.9585
1.0582 -1.8328 8.9378
-1.9266 1.4197 11.9170
2.6331 1.1912 4.9761
1.0582 1.8328 8.9378
0.0000 0.0000 14.2379
-0.2849 2.8760 12.8994
2.6332 -1.1912 12.8994
```



VASP calculation (PBE-GGA) on a geometry-optimized Na2HgAsF6 structure.

Spin magnetization, Bohr magnetons per cell: 0.01
Energy of formation, eV per atom: -2.1645

The structure in POSCAR format:
```
Na2HgAsF6
1.0
0.0000 4.5757 4.5757
4.5757 0.0000 4.5757
4.5757 4.5757 0.0000
Na Hg As F
2 1 1 6
Cartesian
2.2878 2.2878 2.2878
6.8635 6.8635 6.8635
0.0000 0.0000 0.0000
4.5757 4.5757 4.5757
4.5757 4.5757 2.5668
4.5757 2.5668 4.5757
6.5845 4.5757 4.5757
2.5668 4.5757 4.5757
4.5757 6.5845 4.5757
4.5757 4.5757 6.5845
```



VASP calculation (PBE-GGA) on a geometry-optimized La2H5 structure.

Spin magnetization, Bohr magnetons per cell: 0.03
Energy of formation, eV per atom: -0.7313

The structure in POSCAR format:
```
La2H5
1.0
-2.7874 2.7874 5.6732
2.7874 -2.7874 5.6732
2.7874 2.7874 -5.6732
La H
4 10
Cartesian
0.0000 0.0000 0.0000
2.7874 0.0000 2.7460
0.0000 0.0000 5.5825
0.0000 2.7874 2.8366
1.2890 1.3996 -1.4638
1.4984 -1.3878 4.2094
0.0000 0.0000 2.7289
1.3996 1.4984 1.3728
1.3878 -1.2890 7.0460
1.2890 4.1752 -1.4638
1.4984 1.3878 4.2094
1.3996 4.0764 1.3728
1.3878 1.2890 7.0460
0.0000 2.7874 5.5655
```

~~~~~

Entry 1:
Entry from the Materials Project: a geometry-optimized Mg2IrN3 structure (PBE).

Properties
The energy comes out at -75.3 eV/cell. Its calculated formation energy is -0.277 eV/atom. The calculation puts the volume at 12.46 Å³ per atom.

Cell: 6.2637 6.3083 4.3789 Å, 90.00 90.00 120.24°
Last column: nearest neighbours and their distance in Å.
Atoms (fractional coordinates):
N1 0.0000 0.3727 0.4020  2 Ir 1.93-2.04
N2 0.0000 0.6273 0.9020  2 Ir 1.93-2.04
Ir1 0.0000 0.3230 0.9414  4 N 1.93-2.04
Mg1 0.3377 0.3339 0.4331  5 N 2.15-2.25
N3 0.3128 0.9821 0.4312  1 Ir 1.94, 2 Mg 2.15
N4 0.6872 0.0179 0.9312  1 Ir 1.94, 2 Mg 2.15
Mg2 0.6623 0.6661 0.9331  5 N 2.15-2.25
Mg3 0.3377 0.0038 0.9331  5 N 2.15-2.25
N5 0.6872 0.6692 0.4312  1 Ir 1.94, 2 Mg 2.15
N6 0.3128 0.3308 0.9312  1 Ir 1.94, 2 Mg 2.15
Ir2 0.0000 0.6770 0.4414  4 N 1.93-2.04
Mg4 0.6623 0.9962 0.4331  5 N 2.15-2.25

---

Entry 2:

# Calculated crystals from another source follow
/*
# 1
Density functional theory data (PBE) for a relaxed structure of Pr5Sn4.

Geometry as CIF:
```
data_Pr5Sn4
_space_group_name_H-M_alt 'P n m a'
_space_group_IT_number 62
_space_group_name_Hall '-P 2ac 2n'
_cell_length_a 8.349
_cell_length_b 16.179
_cell_length_c 8.543
_cell_angle_alpha 90.00
_cell_angle_beta 90.00
_cell_angle_gamma 90.00
loop_
_atom_site_label
_atom_site_type_symbol
_atom_site_fract_x
_atom_site_fract_y
_atom_site_fract_z
Pr1 Pr 0.019 0.100 0.183
Pr2 Pr 0.132 0.620 0.336
Pr3 Pr 0.197 0.250 0.501
Sn1 Sn 0.068 0.250 0.884
Sn2 Sn 0.179 0.750 0.642
Sn3 Sn 0.210 0.043 0.533
```

# 2
Density functional theory data (PBE) for a relaxed structure of PrYSn6.

Geometry as CIF:
```
data_PrYSn6
_space_group_name_H-M_alt 'P 4/m m m'
_space_group_IT_number 123
_space_group_name_Hall '-P 4 2'
_cell_length_a 4.787
_cell_length_b 4.787
_cell_length_c 9.467
_cell_angle_alpha 90.00
_cell_angle_beta 90.00
_cell_angle_gamma 90.00
loop_
_atom_site_label
_atom_site_type_symbol
_atom_site_fract_x
_atom_site_fract_y
_atom_site_fract_z
Pr1 Pr 0.000 0.000 0.000
Y1 Y 0.000 0.000 0.500
Sn1 Sn 0.000 0.500 0.255
Sn2 Sn 0.500 0.500 0.000
Sn3 Sn 0.500 0.500 0.500
```

# 3
Density functional theory data (PBE) for a relaxed structure of SrPr3.

Geometry as CIF:
```
data_SrPr3
_space_group_name_H-M_alt 'P 63/m m c'
_space_group_IT_number 194
_space_group_name_Hall '-P 6c 2c'
_cell_length_a 7.7299
_cell_length_b 7.7299
_cell_length_c 6.1248
_cell_angle_alpha 90.00
_cell_angle_beta 90.00
_cell_angle_gamma 120.00
loop_
_atom_site_label
_atom_site_type_symbol
_atom_site_fract_x
_atom_site_fract_y
_atom_site_fract_z
Sr1 Sr 0.3333 0.6667 0.2500
Pr1 Pr 0.1604 0.3208 0.7500
```

no.,energy of formation (kcal/mol of atoms),VASP energy (eV for the cell shown)
1,-17.25,-186.697
2,-10.74,-39.030
3,3.08,-30.996

* * * * *

[1]
Entry from the Materials Project database: a geometry-optimized Sb3O7 structure (GGA-PBE).

a = 7.2777 Å, b = 7.3116 Å, c = 10.5912 Å
α = 90.00°, β = 90.00°, γ = 90.00°
Space group Imma (No. 74)
Symmetry-distinct sites (fractional):
Sb: 0.0000 0.0000 0.0000
Sb: 0.0000 0.0000 0.5000
Sb: 0.2500 0.2500 0.2500
O: 0.0000 0.2500 0.1844
O: 0.0000 0.2500 0.5680
O: 0.0000 0.2500 0.9250
O: 0.2178 0.0550 0.3825

Values from the calculation:
Calculated density (g/cm³): 5.63
Energy relative to the lowest polymorph listed for this composition (meV/atom): 0
Energy of formation from the pure elements (eV/atom): -1.6964
Crystal system: orthorhombic

=====

[2]
Entry from the Materials Project database: a geometry-optimized Sb3O8 structure (GGA-PBE).

a = 9.5648 Å, b = 8.9857 Å, c = 13.8106 Å
α = 90.00°, β = 133.44°, γ = 90.00°
Space group P2/c (No. 13)
Symmetry-distinct sites (fractional):
Sb: 0.0000 0.1927 0.2500
Sb: 0.2428 0.1472 0.7505
Sb: 0.2459 0.3483 0.9987
Sb: 0.2539 0.4923 0.2536
Sb: 0.2681 0.0054 0.5184
O: 0.0336 0.0106 0.1648
O: 0.0478 0.3345 0.6625
O: 0.0587 0.3367 0.1740
O: 0.2078 0.1493 0.5925
O: 0.2136 0.4935 0.0907
O: 0.2279 0.1742 0.0765
*/
  • PS can someone tell me what the -553.3 and -1106.5 means on my ticker?
  • I don't really believe anything is totally accurate. But I love to see the map of where I went on my walks, cuz I think gadgets are pretty cool. My major measure of my successes is my scale. Next, is my clothes. If I'm lighter and tighter, I'm succeeding at my fitness and my weight release.
  • Guddie, I'm with you 100%. My fitbit has a lotta quirks, but I wear it and refer to it almost religiously! My weight gain was exacerbated by thyroid treatment together with HC. And, with the FB and LoseIt and MFP, I've gotten rid of it. I especially like seeing the sleep measure (of course, it only measures movement, but…
  • I've used my fitbit for a long time, and it motivates me every day. I track my sleep too (well, it measures how much you roll around in bed, depending on where you place it, and steps if you get up to go to the loo). Mine was replaced (cracked) and I had another one, so for several days I wore all three for a transition to…
    in FitBit Comment by marzekiel April 2012
  • Fitbit friends are great to have, but in reality, they are "competitors." It's set up so you can see if you can best their score of steps. There's no communication between friends, and, if you want someone to write to you privately, you have to post your email on a public forum (all the fitbit community fora are public)…
  • I cannot speak to whether the shorts will help your pain. However, I'm assuming, because you say your bike is a cruiser, your pain is in your butt or tailbone? If that is so, and you're trying to avoid that coccyx pain. either raise your seat or lower your handlebars or both. If you have a bit of a lean over, your tailbone…
  • I'm 5'3" and, for the past month or so, my weight has vascillated from 127.5 to 134. Last year, I was up to 163.5, so I'm happy to be down in this weight range, BUT I want to go lower. At least, I want to get thinner so long as my face doesn't make me look ancient, haggard, or cadaverous. When I was younger (like your ages…
  • I've been using mine since September, and it was the initial motivator for my weight release of 35 lbs. It made me mindful and aware of what I was doing--how active and inactive I was. That turned into my increasing activity. I do NOT use it for "weight" advice or input (hey, it's a hardware gadget company!), and the…
  • I prefer "Labrada LeanBody for Her" because it has 30gr protein and I can to my "4-hour-Body" 30 grains as fast as possible after awakening. It is effective for me. In the past, I really liked Atkins drinks, but for several months, no matter where I bought them, they were curdled. Atkins sent me a few free coupons, but I…